-- Material --
# 1
Below is C5H7Cl2N in the gas phase in a non-equilibrium geometry, with properties calculated with ωB97M-V/def2-TZVPD.

maximum force: 6.14 eV/Å
E_tot: -1169.773157 a.u.
lowest unoccupied orbital energy: 0.018 Eh

Each line ends with the Löwdin charge.
Geometry (Å):
C1 -1.01803 0.35370 -0.05846  -0.44
C2 1.21992 -0.52041 -0.30805  -0.15
C3 -2.35827 0.01569 0.04022  -1.10
C4 -0.62388 1.85824 -0.14357  -0.07
C5 2.09591 -1.62497 0.22590  -0.07
N1 0.03471 -0.50483 0.18700  0.06
Cl1 -2.72452 -1.65158 0.32355  0.62
Cl2 -3.57530 1.22549 -0.04767  0.65
H1 1.67384 0.00972 -1.06796  0.09
H2 0.26206 2.08586 0.54543  0.11
H3 -1.39339 2.35207 0.36986  0.00
H4 -0.55038 2.02467 -1.25233  0.10
H5 2.08375 -2.35314 -0.43840  0.01
H6 1.72883 -2.10882 1.09465  0.06
H7 3.14474 -1.16168 0.52981  0.12

Atomic forces in eV per Å
-1.0 1.9 0.6
-2.2 -2.5 3.1
3.3 -0.2 -0.1
1.0 -1.9 0.0
2.2 4.8 3.2
0.4 -0.7 -0.6
-0.6 0.4 -0.2
-0.3 -0.6 0.0
0.3 1.8 -1.8
-0.7 -0.6 -1.7
-1.2 1.3 -0.1
0.3 0.8 1.3
1.0 -3.3 -3.6
-0.8 0.1 1.1
-1.8 -1.3 -1.1



# 2
Below is a molecular structure, C17H30AgF6O7 in a non-equilibrium geometry, with properties calculated with ωB97M-V/def2-TZVPD.

net charge: -1
maximum force: 5.35 eV/Å
E_tot: -1938.544164 a.u.
lowest unoccupied orbital energy: 0.093 Eh

Each line ends with the Löwdin charge.
Geometry (Å):
Ag1 -0.36077 -0.01913 0.32744  0.79
C1 2.29853 2.18957 -1.40207  -0.42
O1 3.05873 1.48284 -2.43794  -0.12
O2 1.23823 1.27139 -1.18532  -0.27
C2 3.20305 2.50426 -0.19734  -0.56
F1 2.52276 2.96920 0.84982  0.13
F2 3.91033 1.43438 0.23852  0.12
F3 4.14336 3.43714 -0.51908  0.09
C3 3.97697 2.22970 -3.29660  -0.25
C4 4.70265 1.07970 -4.03656  -0.09
H1 5.12555 0.39600 -3.30048  0.08
H2 4.08560 0.59405 -4.79254  0.07
H3 5.43674 1.48652 -4.73206  0.05
H4 4.75049 2.75952 -2.74068  0.09
H5 3.46054 2.86290 -4.01804  0.10
H6 1.89707 3.08279 -1.88071  0.13
C5 -0.36214 -2.84550 -1.12922  -0.40
O3 -0.56551 -2.50762 0.31678  -0.20
O4 0.26755 -1.71513 -1.66451  -0.24
C6 0.40353 -4.21345 -1.26250  -0.58
F4 1.18513 -4.31617 -2.35558  0.13
F5 1.20922 -4.47595 -0.22712  0.12
F6 -0.47451 -5.20249 -1.13909  0.11
C7 -1.57993 -3.25085 1.00716  -0.27
C8 -1.47912 -2.71879 2.42114  -0.08
H7 -2.17911 -3.29400 3.02714  0.07
H8 -0.47057 -2.79595 2.82732  0.07
H9 -1.74396 -1.66399 2.49434  0.07
H10 -1.29927 -4.30340 0.96887  0.11
H11 -2.60168 -3.11276 0.65351  0.09
H12 -1.40307 -2.94591 -1.43660  0.12
C9 1.69425 -0.57325 4.53749  -0.02
C10 1.48177 -0.62210 3.03660  -0.47
O5 0.66622 0.06876 2.48588  0.01
C11 2.53154 -1.44047 2.19185  0.01
H13 2.03924 -1.57019 4.81169  0.08
H14 0.75886 -0.36097 5.05525  0.08
H15 2.36542 0.26115 4.74099  0.09
H16 3.52645 -1.19703 2.56465  0.07
H17 2.44299 -1.06352 1.17294  0.08
H18 2.33465 -2.51134 2.14105  0.08
C12 -0.63532 4.37597 0.60530  -0.01
C13 -1.46969 3.26964 -0.07488  -0.47
O6 -1.61821 2.21469 0.48830  0.01
C14 -2.08843 3.52605 -1.43278  -0.02
H19 0.30272 4.57467 0.08695  0.08
H20 -0.33138 4.06103 1.60357  0.07
H21 -1.32278 5.19163 0.82934  0.07
H22 -2.85444 2.79226 -1.68356  0.07
H23 -1.35224 3.38584 -2.22427  0.09
H24 -2.65294 4.45592 -1.50201  0.07
C15 -5.20658 0.11741 0.59176  -0.02
C16 -4.20747 -0.72825 -0.21671  -0.46
O7 -3.04690 -0.43871 -0.39098  0.06
C17 -4.71197 -2.08961 -0.72700  -0.03
H25 -5.57428 -0.37689 1.49096  0.08
H26 -6.08113 0.43895 0.02619  0.07
H27 -4.74531 1.03157 0.96545  0.07
H28 -5.74497 -1.97661 -1.05600  0.07
H29 -4.75834 -2.82175 0.07918  0.07
H30 -4.09814 -2.39351 -1.57492  0.08

Atomic forces in eV per Å
0.8 -0.1 -1.4
-3.1 -4.2 -1.2
1.4 1.8 -0.1
2.0 2.7 1.1
0.2 -1.0 -0.7
-0.2 0.4 0.3
-0.3 0.2 -0.1
0.0 0.3 0.2
-0.1 -2.5 0.4
-0.2 1.1 -0.8
0.0 -0.1 -0.3
-0.6 -0.5 0.7
0.8 0.3 0.4
-0.3 0.4 0.1
-0.2 0.3 0.2
0.3 0.9 0.3
1.8 4.7 -0.9
-0.5 -1.1 -0.2
-1.5 -3.6 1.4
0.5 1.8 1.0
-1.0 -0.3 0.1
1.2 0.5 0.8
-1.2 -1.4 -1.4
1.8 0.8 0.5
-0.5 -0.3 0.3
0.0 0.0 0.4
0.0 -0.3 -0.1
-0.1 0.1 -0.2
-0.3 -0.2 0.1
0.0 0.1 -0.5
-0.4 -0.7 -0.7
-0.8 -0.4 -0.5
1.7 -0.4 -0.9
-0.6 0.1 0.3
-1.2 1.2 0.2
0.5 0.3 0.5

-- Work order --
What is needed: type out every line earlier on that contains the word "F1".

-- Result --
F1 2.52276 2.96920 0.84982  0.13